A heavenly conundrum. . .

Here is a philosophical question about heaven and hell. Assume for this question that there actually is a heaven and hell. This is merely a philosophical excercise – I am not arguing for or against the actual existence of such places.

Two people love each other a great deal. One is worthy of heaven (person A), the other is evil and is going straight to hell (person B).

If heaven is a perfect, happy place then person A, in order to be perfectly happy, needs to spend their blissful eternity with person B who they love very much – yet person B is now rotting in hell for the evil deeds they committed.

How can it be “heaven” for person A if the one person they truly loved in the world, person B, is never going to be with them?

I am sure heaven could “fake it” and create a replica of person B, but that wouldn’t be Person B and thus not “perfect” for Person A’s heavenly reward.

If they send person B from hell to heaven to make person A happy, then then person B gets out of their just punishment in hell.

Is there a solution to this heavenly conundrum?

Sure. You won’t have the same personal attachments in Heaven that you have in life. So Person A no longer needs Person B to be happy.

The “solution” I’ve heard is that essentially person A forgets all about person B. That doesn’t strike me as very heavenly, but what do I know?

My understanding of Christian belief on this question is that in heaven the source of joy is communion with God, not a continuation or resumption of earthly relationships. Being in our intended eternal relationship with God will be sufficient for our happiness.

Yeah, what Crotalus said.

Which neatly skirts the rather awkward dilemma of what happens to a couple in which the guy envisages heaven as eternal companionship with his girl, while to the girl that’s a pretty good description of hell.

The people sipped their wine
and what with God there, they asked him questions
like, “do you have to eat or get your hair cut in heaven?”
“And if your eye got poked out in this life
would it be waiting up in heaven with your wife?”

And God shuffled his feet, and glanced around at them
The people cleared their throats, and stared right back at him.

(Crash Test Dummies: God Shuffled his Feet)

That is indeed what I learned in my Catholic education, too.

I’m not a religious person myslef, but couldn’t they both go to a neutral spot (Purgatory?)

More interesting to me is that God is judged evil (killing all those first born children :eek: ) and sent to Hell.

For that he’d have to die (impossible) and be subject to his own power (uncertain) or choose to be sent to Hell (unlikely).

While the whole “making one partner forget about the other” solution does mess around with free will, it’s probably the best way to go about it. Plus it’s got he added benefit of causing extra pain to the partner in Hell.

If you believe that you lose your individual personality and memories once getting to heaven (something that I believe MUST be the case if it is truly a heaven), then the question becomes null. You just blend with all the other personality-ness souls in eternal communion with God, never thinking about anything that happened on Earth (think Dante’s Paradise). And if you do retain memories, how is it heaven?

I’ve read a suggestion that we would retain our memories, but that their importance would be diminished to insignificance by contact with God.

Cf. the Passion Accounts in the Gospels, along with Paul’s comments on Christ’s Descent. “Taking all sins on Himself, and dying to atone for them” is not just pretty poetry.

I personally don’t agree with the supposition of the OP, so any answer would be purely an intellectual game for me. Given that, the concept set forth here, which Catholic theologians have thought through, is probably the best answer.

For another variation, involving why fundamentalism inevitably implies Gnosticism, see Heinlein’s Job: A Comedy of Justice – which sets forth precisely this conundrum. The solution Heinlein comes up with is, well, devilishly clever, and involves a relatively famous quote from Voltaire that encapsulizes the book yet is never overtly mentioned.

The text is interrupted by records of molecules >
'''
Below is a molecular structure, C10H31AsF6O5, with properties calculated with ωB97M-V/def2-TZVPD.

```
53
Properties=species:S:1:pos:R:3:lowdin_charge:R:1
As -11.4414 14.0968 7.2639 0.9102
F -12.2085 15.2759 6.0983 -0.3132
F -10.6125 12.9630 8.3867 -0.3031
F -10.8547 15.5190 8.1784 -0.2818
F -12.0958 12.6936 6.3091 -0.3324
F -10.0269 14.1066 6.2226 -0.2962
F -12.9598 14.0252 8.2855 -0.2970
O -7.2708 14.1501 3.7475 -0.0756
O -9.7770 10.2720 3.6501 0.1573
O -6.3988 10.6788 3.8926 -0.0719
O -8.5179 12.2306 4.9686 0.2508
O -6.7355 11.8128 6.7546 -0.0853
C -10.0147 9.9435 1.3021 0.0857
C -4.8544 9.3941 2.5770 -0.0520
C -6.2411 14.6595 1.7431 -0.0727
C -7.1726 11.3481 8.0492 -0.2454
C -10.6933 10.5374 2.6111 -0.2956
C -6.2155 9.4227 3.2068 -0.4650
C -6.5211 13.5272 2.6938 -0.2936
C -7.4636 9.8800 7.9643 -0.0762
C -10.7906 12.0285 2.4552 0.0325
C -6.5469 8.2416 4.1859 -0.0217
H -9.7578 8.8961 1.4603 0.1049
H -9.8854 9.3922 4.0187 0.1675
H -11.6263 10.0207 2.8360 0.1894
H -4.6400 8.5927 1.8700 0.0948
H -6.4738 11.5954 8.8482 0.1277
H -7.5286 8.4604 4.6060 0.0555
H -5.6065 13.0820 3.0854 0.1094
H -6.4843 7.2992 3.6417 0.0912
H -5.6153 15.4579 2.1418 0.0907
H -5.8371 11.4949 6.6388 0.1012
H -7.0339 12.6890 2.2220 0.1022
H -7.5640 9.5036 8.9823 0.0888
H -6.8971 9.2792 2.3684 0.1193
H -9.0950 10.4822 1.0741 0.1017
H -7.1727 15.0662 1.3498 0.0891
H -7.8457 12.0019 5.6147 0.0620
H -4.7089 10.2804 1.9596 0.0833
H -6.7864 14.9043 4.0910 0.1241
H -4.0504 9.4480 3.3111 0.0920
H -8.0807 11.8534 8.3781 0.1193
H -10.7193 10.0250 0.4745 0.1261
H -6.6319 9.3505 7.4994 0.0712
H -5.7053 14.2591 0.8824 0.0826
H -11.5586 12.3170 1.7376 0.1279
H -8.4440 9.6545 7.5448 0.0774
H -9.8064 12.4296 2.2130 0.1044
H -8.1678 12.9178 4.3969 0.0676
H -8.7178 11.4784 4.4068 0.0817
H -5.8653 8.2970 5.0347 0.0804
H -5.7058 10.7376 4.5543 0.0857
H -11.0708 12.4621 3.4152 0.1230
```

Summary:
⟨S²⟩ ... 0.754
LUMO energy (alpha / beta) ... -3.99 / -10.76 eV
2S+1 ... 2
Total charge ... +1

---

Below is 8 unconnected molecules or ions with the total composition C10H31F3NO9, with properties calculated with ωB97M-V/def2-TZVPD.

```
54
Properties=species:S:1:pos:R:3:lowdin_charge:R:1
F -3.6486 0.9347 -0.1405 0.1717
F -5.2874 -0.2010 -0.6891 0.1195
F -5.2290 0.6819 1.2681 0.1164
O 3.1638 -2.9478 -0.2358 -0.1205
O 0.8847 4.3296 1.1884 -0.4774
O -0.1435 3.6433 -3.2509 -0.1329
O -0.1720 4.0331 4.1602 -0.4416
O -2.6836 -1.2761 1.6871 -0.3038
O 4.7358 2.4837 -1.0598 -0.1253
O 0.3860 -4.2890 2.2728 -0.0952
O -3.7724 -2.4534 -0.0677 -0.1350
O 2.5563 0.3044 4.0390 -0.6438
N 0.8464 0.3824 0.6200 0.3425
C -0.9641 4.2836 3.0495 -0.5270
C -3.2831 -3.5281 -2.1945 -0.0961
C -3.8923 -1.3258 0.8783 -0.3744
C -4.4891 0.0676 0.3223 -0.6342
C -0.2866 4.9279 1.7427 -0.4867
C 0.3271 -5.6245 1.8905 -0.2061
C -2.9640 -2.3914 -1.1861 -0.3201
C 4.3256 -3.7087 -0.0849 -0.1954
C -1.1881 4.3647 -3.8476 -0.1981
C 5.2992 2.5453 -2.3788 -0.1719
H -0.6975 -5.9962 1.8819 0.0751
H -2.5596 -3.3390 -2.9875 0.0536
'''
The text goes on >

My approach involves a loving God who does not play the sorts of games with people’s feelings that the OP postulates. But that’s not an acceptable answer to the question as asked.

Yep, the rest of eternity praising the Lord your God.

That’s eternity.

For ever. And ever.

And ever.

Praising Him.

All the time. For all time.

(Whew. This is Heaven we’re talking about, isn’t it, and not the Other Place?)

When you think about it long enough, the entire concept of an afterlife is pretty depressing.

Sooo, heaven consists of mindwipe and being reduced to a grinning vegetable ?

The OP raises a few related questions, questions that remain important whether or not you believe in Heaven and Hell. Such as,

Are you saying that one person can need another particular person in order to be happy, so that without that person you can never hope to be happy again?

Is it possible for a truly good person and a truly evil person to love one another (not just be infatuated or unhealthily attached to one another)? From the point of view of the good person, what is there in the evil person to love? And is an evil person capable of loving?

If they did love one another, would such love motivate Evil Person to become good (if that were possible) in order to be with Good Person (or vice versa)?

Christianity, if you look at it the right way, is all about solving this problem, with Jesus in the role of Person A and us sinful human beings in the role of Person B.

Please consult the theology of Spider Robinson on this topic. I trust you’ll disagree once you grasp the full concept. (“Hey Jude, don’t take it bad…”) :stuck_out_tongue:

I’ve read most of his stuff; while most of his future utopias involve a group mind,the people in the groupmind most certainly don’t lose their individuality and memories; they become Me + Groupmind, not Me = Groupmind.

I frequently argue this one with my more fundamentalist brethren.

If there is no continuation of memory, desire, purpose, personality, tastes & preference, etc, then:
-what’s the point of all those things here?
-in what sense would it be ‘me’ going there anyway?
-how are we supposed to desire heaven if it’s utterly unlike (or empty of) everything we desire here?

Good point, but if God has/will/does exist for all time, and he’s only done this once, I’d say it was still pretty unlikely.